**Contents**
=====
Computed powder diffraction line list
Compound: PmEr7Cd4
Radiation: CuKα
Structure: a cell relaxed with GGA-PBE

Structure:
```
PmEr7Cd4
1.0
7.308 -2.838 0.000
7.308 2.838 0.000
-5.107 0.000 8.203
Pm Er Cd
1 7 4
Direct
0.000 0.000 0.000
0.072 0.072 0.415
0.206 0.206 0.880
0.263 0.263 0.307
0.500 0.500 0.000
0.737 0.737 0.693
0.794 0.794 0.120
0.928 0.928 0.585
0.318 0.318 0.660
0.458 0.458 0.289
0.542 0.542 0.711
0.682 0.682 0.340
```

Most intense lines, 2θ from 5° to 70°, in order of rising 2θ:
| 2theta | d/Å | Rel. int. |
| --- | --- | --- |
| 28.8 | 3.102 | 248 |
| 30.0 | 2.974 | 483 |
| 30.7 | 2.914 | 540 |
| 31.5 | 2.838 | 1000 |
| 31.9 | 2.806 | 309 |
| 32.2 | 2.776 | 440 |
| 33.5 | 2.671 | 237 |
| 35.5 | 2.529 | 737 |
| 44.1 | 2.053 | 343 |
| 45.5 | 1.995 | 233 |


Computed powder diffraction line list
Compound: PrNdC4
Radiation: CuKα
Structure: a cell relaxed with GGA-PBE

Structure:
```
PrNdC4
1.0
3.864 0.000 0.000
0.000 3.863 0.000
-0.021 0.000 6.495
Pr Nd C
1 1 4
Direct
0.000 0.000 0.000
0.500 0.500 0.500
0.000 0.000 0.400
0.000 0.000 0.600
0.500 0.500 0.100
0.500 0.500 0.900
```

Most intense lines, 2θ from 5° to 70°, in order of rising 2θ:
| 2theta | d/Å | Rel. int. |
| --- | --- | --- |
| 26.9 | 3.320 | 1000 |
| 27.5 | 3.247 | 348 |
| 32.8 | 2.732 | 528 |
| 43.2 | 2.093 | 201 |
| 43.3 | 2.088 | 199 |
| 47.0 | 1.932 | 184 |
| 48.2 | 1.889 | 219 |
| 55.0 | 1.670 | 298 |
| 55.3 | 1.661 | 144 |
| 69.5 | 1.352 | 96 |


Computed powder diffraction line list
Compound: CdIn2Hg12
Radiation: CuKα
Structure: a cell relaxed with GGA-PBE

Structure:
```
CdIn2Hg12
1.0
6.240 0.000 0.000
0.000 6.240 0.000
0.000 0.000 22.748
Cd In Hg
2 4 24
Direct
0.250 0.750 0.000
0.750 0.250 0.000
0.250 0.750 0.227
0.250 0.750 0.773
0.750 0.250 0.227
0.750 0.250 0.773
0.002 0.502 0.094
0.002 0.998 0.906
0.057 0.557 0.567
0.057 0.943 0.433
0.250 0.250 0.199
0.250 0.250 0.331
0.250 0.250 0.669
0.250 0.250 0.801
0.443 0.557 0.433
0.443 0.943 0.567
0.498 0.502 0.906
0.498 0.998 0.094
0.502 0.002 0.906
0.502 0.498 0.094
0.557 0.057 0.433
0.557 0.443 0.567
0.750 0.750 0.199
0.750 0.750 0.331
0.750 0.750 0.669
0.750 0.750 0.801
0.943 0.057 0.567
0.943 0.443 0.433
0.998 0.002 0.094
0.998 0.498 0.906
```

Most intense lines, 2θ from 5° to 70°, in order of rising 2θ:
| 2theta | d/Å | Rel. int. |
| --- | --- | --- |
| 21.6 | 4.114 | 280 |
| 29.7 | 3.009 | 1000 |
| 32.7 | 2.735 | 340 |
| 34.3 | 2.618 | 251 |
| 34.9 | 2.573 | 308 |
| 35.5 | 2.528 | 323 |
| 37.3 | 2.409 | 914 |
| 40.9 | 2.206 | 685 |
| 55.3 | 1.662 | 318 |
| 56.8 | 1.621 | 224 |


Computed powder diffraction line list
Compound: Tm4Cd
Radiation: CuKα
Structure: a cell relaxed with GGA-PBE

Structure:
```
Tm4Cd
1.0
-2.589 3.333 8.088
2.589 -3.333 8.088
2.589 3.333 -8.088
Tm Cd
8 2
Direct
0.000 0.000 0.000
0.144 0.394 0.750
0.199 0.196 0.003
0.307 0.804 0.503
0.500 0.000 0.500
0.693 0.196 0.497
0.801 0.804 0.997
0.856 0.606 0.250
0.362 0.612 0.750
0.638 0.388 0.250
```

Most intense lines, 2θ from 5° to 70°, in order of rising 2θ:
| 2theta | d/Å | Rel. int. |
| --- | --- | --- |
| 32.4 | 2.761 | 848 |
| 32.6 | 2.744 | 1000 |
| 34.6 | 2.589 | 441 |
| 34.9 | 2.572 | 346 |
| 36.1 | 2.487 | 152 |
| 43.2 | 2.096 | 181 |
| 50.0 | 1.825 | 254 |
| 56.5 | 1.629 | 166 |
| 60.8 | 1.523 | 168 |
| 65.5 | 1.424 | 267 |


Computed powder diffraction line list
Compound: Pa2Mn3Os
Radiation: CuKα
Structure: a cell relaxed with GGA-PBE

Structure:
```
Pa2Mn3Os
1.0
2.570 1.484 4.314
-2.570 1.484 4.314
0.000 -2.967 4.314
Pa Mn Os
2 3 1
Direct
0.124 0.124 0.124
0.876 0.876 0.876
0.000 0.500 0.500
0.500 0.000 0.500
0.500 0.500 0.000
0.500 0.500 0.500
```

Most intense lines, 2θ from 5° to 70°, in order of rising 2θ:
| 2theta | d/Å | Rel. int. |
| --- | --- | --- |
| 20.6 | 4.314 | 323 |
| 34.3 | 2.617 | 268 |
| 34.9 | 2.570 | 834 |
| 40.3 | 2.237 | 539 |
| 40.9 | 2.208 | 1000 |
| 43.0 | 2.104 | 176 |
| 60.9 | 1.520 | 175 |
| 62.6 | 1.484 | 162 |
| 66.3 | 1.410 | 252 |
| 66.7 | 1.403 | 239 |
=====

**Work order**
Say how many lines of the material further up hold the word "Mn", as a bare number, please.

**Completed**
1